Help with Deficiency n Coco + pics


Active Member
I am having a strange issue uwith one of my blackjack plants 2 weeks into flower. Currently it looks like I am starting to have a deficiency on the lower leaves of this plant and the one next to it. The strange thing is of 2 identical plants one has yellow tips on upper fans and new growth. It looks kind of like burn but the other shows no signs of burn. They both display leaves as seen in pics. I can't figure out which way to go. Am I feeding too little or too much?
I am growing in a coco/perlite mix with some dolomite added for my medium. 1000w hps lamp and temps are 83 day and 70 at night and rh 45-50%. I am supplementing with co2 at 1500 ppm. I am feeding dyna-gro nutrients about .8 EC at 5.8 ph currently. I was running up to 1.2 EC but saw a little hooking and slight burn but these tips still look the same after dropping to .8. I use the bloom, magpro and protek at 5 ml 3 ml and 2 ml respectively. This is top feed to waste and res temp is 66 degrees always.
I will post better pics after lights out but I think the lower fan problem is pretty clear in the pics. The tops not so much.

Crystal structures that have nothing to do with the piece
No. 1
The following is a calculated powder diffraction line list of LaFeNi4. It was derived from a structure optimized by DFT (GGA-PBE), using Cu Ka.
Intensities are scaled so that the largest is 1000.

Main lines, sorted by position (2θ from 10° to 90°):
| 2θ (°) | d/Å | intensity |
| --- | --- | --- |
| 30.47 | 2.934 | 462 |
| 35.64 | 2.519 | 298 |
| 41.38 | 2.182 | 373 |
| 42.52 | 2.126 | 1000 |
| 45.79 | 1.982 | 261 |
| 59.33 | 1.558 | 131 |
| 63.41 | 1.467 | 201 |
| 68.75 | 1.365 | 224 |
| 75.47 | 1.260 | 163 |
| 82.43 | 1.170 | 133 |

Structural model:
Cell: 5.0386 5.0386 3.9634 Å, 90.00 90.00 120.00°
Space group P-6m2 (No. 187)
One atom of each set of equivalent atoms:
La  0.0000  0.0000  0.0000 x1
Fe  0.3333  0.6667  0.0000 x1
Ni  0.5003  0.0005  0.5000 x3
Ni  0.6667  0.3333  0.0000 x1

No. 2
The following is a calculated powder diffraction line list of Cs2NdAgF6. It was derived from a structure optimized by DFT (GGA-PBE), using Cu Ka.
Intensities are scaled so that the largest is 1000.

Main lines, sorted by position (2θ from 10° to 90°):
| 2θ (°) | d/Å | intensity |
| --- | --- | --- |
| 26.33 | 3.384 | 1000 |
| 32.40 | 2.763 | 25 |
| 37.59 | 2.393 | 342 |
| 46.48 | 1.954 | 424 |
| 54.20 | 1.692 | 222 |
| 61.24 | 1.514 | 191 |
| 67.83 | 1.382 | 73 |
| 74.12 | 1.279 | 219 |
| 80.22 | 1.197 | 33 |
| 86.22 | 1.128 | 113 |

Structural model:
Cell: 9.572 9.572 9.572 Å, 90.00 90.00 90.00°
Space group Fm-3m (No. 225)
One atom of each set of equivalent atoms:
Cs  0.250  0.250  0.250 x8
Nd  0.000  0.000  0.000 x4
Ag  0.000  0.000  0.500 x4
F  0.000  0.000  0.239 x24

No. 3
The following is a calculated powder diffraction line list of Li2BPd3. It was derived from a structure optimized by DFT (GGA-PBE), using Cu Ka.
Intensities are scaled so that the largest is 1000.

Main lines, sorted by position (2θ from 10° to 90°):
| 2θ (°) | d/Å | intensity |
| --- | --- | --- |
| 18.36 | 4.832 | 264 |
| 22.53 | 3.946 | 543 |
| 29.22 | 3.056 | 375 |
| 32.08 | 2.790 | 335 |
| 39.56 | 2.278 | 1000 |
| 41.80 | 2.161 | 615 |
| 43.94 | 2.061 | 319 |
| 57.19 | 1.611 | 194 |
| 70.23 | 1.340 | 207 |
| 88.11 | 1.109 | 186 |

Structural model:
Cell: 6.834 6.834 6.834 Å, 90.00 90.00 90.00°
Space group P4_332 (No. 212)
One atom of each set of equivalent atoms:
Li  0.056  0.444  0.556 x8
B  0.125  0.875  0.375 x4
Pd  0.055  0.625  0.195 x12

No. 4
The following is a calculated powder diffraction line list of Na2TmCuCl6. It was derived from a structure optimized by DFT (GGA-PBE), using Cu Ka.
Intensities are scaled so that the largest is 1000.

Main lines, sorted by position (2θ from 10° to 90°):
| 2θ (°) | d/Å | intensity |
| --- | --- | --- |
| 15.09 | 5.871 | 220 |
| 17.44 | 5.084 | 1000 |
| 24.76 | 3.595 | 553 |
| 29.13 | 3.066 | 162 |
| 35.31 | 2.542 | 616 |
| 39.64 | 2.274 | 477 |
| 43.60 | 2.076 | 259 |
| 50.79 | 1.798 | 404 |
| 54.11 | 1.695 | 234 |
| 85.39 | 1.137 | 170 |

Structural model:
Cell: 10.169 10.169 10.169 Å, 90.00 90.00 90.00°
The piece goes on

Lower fan issues?
This one may be just because it is so buried?
Hard to see but one looks like burnt tips and the other looks fine?

I have a full journal of this grow in my signature as well. The Super Skunks I have going look fine so far.


Active Member
So, I found this and it makes sense. My tips are lime green and really don't look burnt. I have heard of mag issues in coco so maybe this is it? I will get good pics of tips shortly at lights out.

Secondary Nutrients Magnesium (Mg) is found as a central atom in the chlorophyll molecule and is essential to the absorption of light energy. Magnesium aids in the utilization of nutrients, neutralizes acids and toxic compounds produced by the plant. Deficiency signs of magnesium are: Older leaves yellow from the center outward, while veins remain green on deficient plants. Leaf tips and edges may discolor and curl upward. Growing tips turn lime green if the deficiency progresses to the top of the plant.


Active Member
Here is the affected plant. The tips are definitely lime green and looking closely I don't think it is burn? They aren't yellow like nute burn that I have seen in the past. I also see no clawing or other signs of over fert. The last pic is of another blackjack in the exact same conditions, feed schedule etc. Any thoughts?



[Data records, as found in the file]
'''
The following is a calculated X-ray powder pattern of CuAg14Ge. It was derived from a DFT-relaxed cell (GGA-PBE, Alexandria), using Cu Kα X-rays.
Kinematic intensities with the Lorentz-polarization factor, no thermal factor.

Structural model:
a b c (Å): 9.5990 5.8343 5.8343
angles (deg): 60.15 90.00 90.00
Atoms (fractional coordinates):
Cu (0.0000, 0.0000, 0.0000)
Ag (0.0000, 0.0032, 0.5018)
Ag (0.0000, 0.5018, 0.0032)
Ag (0.2443, 0.3288, 0.8327)
Ag (0.2443, 0.8327, 0.3288)
Ag (0.2482, 0.8333, 0.8333)
Ag (0.2520, 0.3318, 0.3318)
Ag (0.5000, 0.1640, 0.1640)
Ag (0.5000, 0.1652, 0.6657)
Ag (0.5000, 0.6639, 0.6639)
Ag (0.5000, 0.6657, 0.1652)
Ag (0.7480, 0.3318, 0.3318)
Ag (0.7518, 0.8333, 0.8333)
Ag (0.7557, 0.3288, 0.8327)
Ag (0.7557, 0.8327, 0.3288)
Ge (0.0000, 0.5007, 0.5007)

The 8 most intense peaks (2θ = 10–90°), low angle first:
| d (Å) | I (rel.) |
| --- | --- |
| 2.528 | 10 |
| 2.445 | 39 |
| 2.400 | 35 |
| 2.237 | 100 |
| 1.984 | 20 |
| 1.459 | 14 |
| 1.352 | 12 |
| 1.246 | 16 |

***

The following is a calculated X-ray powder pattern of CuAgGeSe3. It was derived from a DFT-relaxed cell (GGA-PBE, Alexandria), using Cu Kα X-rays.
Kinematic intensities with the Lorentz-polarization factor, no thermal factor.

Structural model:
a b c (Å): 7.1029 7.1029 7.1823
angles (deg): 100.51 100.51 119.88
Atoms (fractional coordinates):
Cu (0.0834, 0.9166, 0.5000)
Cu (0.9166, 0.0834, 0.0000)
Ag (0.2568, 0.7555, 0.0119)
Ag (0.7555, 0.2568, 0.5119)
Ge (0.4412, 0.6081, 0.5269)
Ge (0.6081, 0.4412, 0.0269)
Se (0.1572, 0.6552, 0.6175)
Se (0.2992, 0.4463, 0.1459)
Se (0.4463, 0.2992, 0.6459)
Se (0.6552, 0.1572, 0.1175)
Se (0.8164, 0.9584, 0.6395)
Se (0.9584, 0.8164, 0.1395)

The 8 most intense peaks (2θ = 10–90°), low angle first:
| d (Å) | I (rel.) |
| --- | --- |
| 3.367 | 100 |
| 3.345 | 54 |
| 3.314 | 53 |
| 2.067 | 50 |
| 2.051 | 74 |
| 2.016 | 24 |
| 1.774 | 23 |
'''

Well-Known Member
it looks like a mix of things i would flush with a super light feed and maybe bump up the calmag if you are using ro water! Hope this helps and good luck bro!


Active Member
Thanks! Yeah, I am running RO. I will flush and bump the cal mag. I may try some Epsom foliar too just to be sure. Anyone else want to chime in?


Well-Known Member
i'm currently having the same problem as you.Your situation looks a little bit more progressed than mine . Your first pictures show signs of stress on the leaf "tip" and the (margins,(sides of leafs)) to me that is early signs of K deficincey. If you google it you will see. Your later pics i don't see the leaf margins burning , i just see the tips burning.

I run Sphagnum peat moss, which is very similar and my ph is at 6.4 . although i can't really pin point your problem, because i'm not a pro :/ ( and i don't want to feed you some bullshit answer) i will tell you that you could easily flush your plant with a flushing solution and continue your regiment..


Well-Known Member
I don't think that you have any problems here. Lower leaves start to look weird with age, and the yellow tips are nothing to worry about. I would not change anything.

Calculated crystals that have nothing to do with the text =
+++
Record 1
Calculated X-ray powder pattern of RuN6Cl3 for λ = 1.5418 Å (Cu Kα), from a GGA-PBE-relaxed structure.

Structure:
```
data_RuN6Cl3
_symmetry_space_group_name_H-M 'P 1'
_symmetry_Int_Tables_number 1
_symmetry_space_group_name_Hall 'P 1'
_cell_length_a 12.2338
_cell_length_b 12.2338
_cell_length_c 13.0562
_cell_angle_alpha 100.51
_cell_angle_beta 100.51
_cell_angle_gamma 122.04
loop_
_atom_site_label
_atom_site_type_symbol
_atom_site_fract_x
_atom_site_fract_y
_atom_site_fract_z
Ru1 Ru 0.0000 0.0000 0.0000
Ru2 Ru 0.1232 0.8768 0.5000
Ru3 Ru 0.3765 0.6235 0.0000
Ru4 Ru 0.5000 0.5000 0.5000
Ru5 Ru 0.6235 0.3765 0.0000
Ru6 Ru 0.8768 0.1232 0.5000
N1 N 0.0143 0.0143 0.1586
N2 N 0.0350 0.1950 0.5903
N3 N 0.0591 0.1939 0.0383
N4 N 0.0846 0.2994 0.0562
N5 N 0.1071 0.7636 0.6075
N6 N 0.1824 0.7665 0.3525
N7 N 0.1939 0.0591 0.0383
N8 N 0.1950 0.0350 0.5903
N9 N 0.2040 0.5408 0.9426
N10 N 0.2335 0.8176 0.6475
N11 N 0.2364 0.8929 0.3925
N12 N 0.2994 0.0846 0.0562
N13 N 0.3805 0.3805 0.5765
N14 N 0.3829 0.3829 0.3634
N15 N 0.4016 0.5984 0.5000
N16 N 0.4096 0.5452 0.1090
N17 N 0.4548 0.5904 0.8910
N18 N 0.4592 0.7960 0.0574
N19 N 0.5408 0.2040 0.9426
N20 N 0.5452 0.4096 0.1090
N21 N 0.5904 0.4548 0.8910
N22 N 0.5984 0.4016 0.5000
N23 N 0.6171 0.6171 0.6366
N24 N 0.6195 0.6195 0.4235
N25 N 0.7006 0.9154 0.9438
N26 N 0.7636 0.1071 0.6075
N27 N 0.7665 0.1824 0.3525
N28 N 0.7960 0.4592 0.0574
N29 N 0.8050 0.9650 0.4097
N30 N 0.8061 0.9409 0.9617
N31 N 0.8176 0.2335 0.6475
N32 N 0.8929 0.2364 0.3925
N33 N 0.9154 0.7006 0.9438
N34 N 0.9409 0.8061 0.9617
N35 N 0.9650 0.8050 0.4097
N36 N 0.9857 0.9857 0.8414
Cl1 Cl 0.0019 0.7416 0.6910
Cl2 Cl 0.0881 0.6761 0.2122
Cl3 Cl 0.1104 0.1104 0.8101
Cl4 Cl 0.2365 0.2365 0.5079
Cl5 Cl 0.2584 0.9981 0.3090
Cl6 Cl 0.3239 0.9119 0.7878
Cl7 Cl 0.3389 0.6214 0.6001
Cl8 Cl 0.3786 0.6611 0.3999
Cl9 Cl 0.4715 0.4715 0.1517
Cl10 Cl 0.5285 0.5285 0.8483
Cl11 Cl 0.6214 0.3389 0.6001
Cl12 Cl 0.6611 0.3786 0.3999
Cl13 Cl 0.6761 0.0881 0.2122
Cl14 Cl 0.7416 0.0019 0.6910
Cl15 Cl 0.7635 0.7635 0.4921
Cl16 Cl 0.8896 0.8896 0.1899
Cl17 Cl 0.9119 0.3239 0.7878
Cl18 Cl 0.9981 0.2584 0.3090
```

Peak list (12 most intense, 15° ≤ 2θ ≤ 90°, low angle first)
Position (°2θ)  I/Imax
15.1  55.8
16.1  100.0
16.8  28.7
17.8  46.5
24.0  28.2
24.4  32.8
25.7  16.9
26.2  26.2
27.8  23.0
28.9  22.0
33.5  47.8
40.9  19.5



Record 2
Calculated X-ray powder pattern of Cr5SiB2 for λ = 1.5418 Å (Cu Kα), from a GGA-PBE-relaxed structure.

Structure:
```
data_Cr5SiB2
_symmetry_space_group_name_H-M 'P 1'
_symmetry_Int_Tables_number 1
_symmetry_space_group_name_Hall 'P 1'
_cell_length_a 6.5233
_cell_length_b 6.5233
_cell_length_c 6.5233
_cell_angle_alpha 129.18
_cell_angle_beta 129.18
_cell_angle_gamma 74.72
loop_
_atom_site_label
_atom_site_type_symbol
_atom_site_fract_x
_atom_site_fract_y
_atom_site_fract_z
Cr1 Cr 0.0000 0.0000 0.0000
Cr2 Cr 0.0294 0.5294 0.8333
Cr3 Cr 0.1961 0.0294 0.5000
Cr4 Cr 0.3039 0.8039 0.8333
Cr5 Cr 0.4706 0.3039 0.5000
+++


Active Member
Sweet, thanks for the help. I think I will flush tomorrow with 50% strength nutes then just go back to feeding at .8 EC. I agree the lower leaves are not a big deal. The tips are what was freaking me out. I may add a little more mag pro to be safe as well. If anyone else has any opinions kick em in.


Active Member
i'm currently having the same problem as you.Your situation looks a little bit more progressed than mine . Your first pictures show signs of stress on the leaf "tip" and the (margins,(sides of leafs)) to me that is early signs of K deficincey. If you google it you will see. Your later pics i don't see the leaf margins burning , i just see the tips burning.

I run Sphagnum peat moss, which is very similar and my ph is at 6.4 . although i can't really pin point your problem, because i'm not a pro :/ ( and i don't want to feed you some bullshit answer) i will tell you that you could easily flush your plant with a flushing solution and continue your regiment..
Jpill, this looks right on. I looked at th k deficiency and you are correct. That really helps me get some direction. Maybe salt buildup etc. locking out. I will do the flush tomorrow and see if i can get back on track. I am going to leave mag pro at 3ml but up protek to 4ml since it has lots of k if the issue continues after flushing;) man, thanks again everyone for your help!!!


Active Member
here , save this to your desk top and refer to it when you need. It could be tht, cal mag, over fert. ph being off. It could be soo many diff things. sometimes it might just be you ph being off and that causes nutrients to be locked out or un useable.
Thanks, that is tehe best I have seen. Most are really vague and no pics. It may just be as simple as flushing to make sure the ph is straight in the medium. I will start there and see how they respond rather than trying to address multiple theories. Thanks!


Active Member
I flushed this morning with 200 ppm/ .4 EC nutrient solution at 5.8 ph. I will start feeding them at .8 EC tomorrow again. Looks like maybe ph off due to salt buildup in the coco possibly. I will post as soon as I see (or don't see) some results. Thanks for everyones help so far!


Well-Known Member
if you can find a ph chart you for cannabis it will tell you at what PH nutrients can start to be locked out !


Active Member
Yeah, I looked at those and 5.8 looks ok but maybe 6 might be better for mg. this is my first coco run so I am not positive. Everyone I see running it says 5.8. I am hoping there was just salt buildup throwing the ph off in the coco but we will see;) I really appreciate your help on this!


Well-Known Member
np dude, just listen to the plant (like your doing) and you'll be fine. i've been doing this on and off since 09' and im still learning. If you learn about the nutrients you will have a very good understanding of cannabis growing early in your career. !


:sad:hey lookin for some help guys i have plants in coco and sum seem to b drinking and others not have you any idea what could be wrong? the ones drinking are deff getting faster bud growth than the ones that dont seem to be taking as much! any help would be greatfull:-P